
34 posts

[What comes next are crystal structures, not part of the piece]
- - -
Entry from the Alexandria database: a geometry-optimized CdMoRu2 structure (PBE).

E: -7.121 eV per atom
Spin magnetization: 1.0 μB per cell
Energy of formation from the pure elements: 0.45 eV/atom

Lattice parameters (Å, degrees): 2.741 2.741 9.499 90.00 90.00 115.74
Sites, in units of the cell vectors:
Cd 0.000 0.000 0.000
Mo 0.500 0.500 0.726
Ru 0.000 0.000 0.494
Ru 0.500 0.500 0.259


No. 1
A plane-wave DFT calculation with GGA-PBE was carried out for an optimized crystal structure of HgPb8Au2.

- Magnetic moment: 0.0 Bohr magnetons per cell
- Uncorrected energy: -3.33 eV per atom
- D(E_F): 0.343 states/eV per atom
- Formation energy: -0.0107 eV/atom

Cell lengths 7.9447, 7.9447, 5.6747 Å; angles 98.75, 98.75, 109.94 degrees
Atoms (fractional coordinates):
Hg 0.0000 0.0000 0.0000
Pb 0.0753 0.3323 0.6127
Pb 0.2441 0.7559 0.0000
Pb 0.3323 0.0753 0.6127
Pb 0.3631 0.3631 0.1720
Pb 0.6369 0.6369 0.8280
Pb 0.6677 0.9247 0.3873
Pb 0.7559 0.2441 0.0000
Pb 0.9247 0.6677 0.3873
Au 0.3220 0.6780 0.5000
Au 0.6780 0.3220 0.5000

=====

No. 2
A plane-wave DFT calculation with GGA-PBE was carried out for an optimized crystal structure of NaLiPW2.

- Magnetic moment: 3.0 Bohr magnetons per cell
- Uncorrected energy: -4.22 eV per atom
- D(E_F): 1.100 states/eV per atom
- Formation energy: 2.6884 eV/atom

Cell lengths 4.6842, 4.6842, 4.6735 Å; angles 90.00, 90.00, 90.00 degrees
Atoms (fractional coordinates):
Na 0.0000 0.0000 0.0000
Li 0.5000 0.5000 0.5000
P 0.0000 0.0000 0.5000
W 0.0000 0.5000 0.0000
W 0.5000 0.0000 0.0000

=====

No. 3
A plane-wave DFT calculation with GGA-PBE was carried out for an optimized crystal structure of KMgC3.

- Magnetic moment: 3.0 Bohr magnetons per cell
- Uncorrected energy: -2.17 eV per atom
- D(E_F): 0.575 states/eV per atom
- Energy above the lowest structure with this stoichiometry: 1.237 eV per atom
- Formation energy: 3.8994 eV/atom

Cell lengths 4.5688, 4.5688, 4.5688 Å; angles 90.00, 90.00, 90.00 degrees
Atoms (fractional coordinates):
K 0.0000 0.0000 0.0000
Mg 0.5000 0.5000 0.5000
C 0.0000 0.0000 0.5000
C 0.0000 0.5000 0.0000
C 0.5000 0.0000 0.0000

=====

No. 4
A plane-wave DFT calculation with GGA-PBE was carried out for an optimized crystal structure of HgP2W.

- Magnetic moment: 0.0 Bohr magnetons per cell
- Uncorrected energy: -5.74 eV per atom
- D(E_F): 0.624 states/eV per atom
- Formation energy: 0.2758 eV/atom

Cell lengths 3.3000, 4.8326, 10.1528 Å; angles 90.00, 90.00, 90.00 degrees
Atoms (fractional coordinates):
Hg 0.0000 0.0000 0.0000
Hg 0.5000 0.5000 0.0000
P 0.0000 0.5000 0.3218
P 0.0000 0.5000 0.6782
P 0.5000 0.0000 0.3218
P 0.5000 0.0000 0.6782
W 0.0000 0.0000 0.5000
W 0.5000 0.5000 0.5000


No. 1
Below is a relaxed structure of Al3W5, with properties calculated at the PBE level.

a b c (Å): 8.695 8.702 3.298
angles (deg): 90.00 90.00 90.00
Space group Cmmm (No. 65)
Symmetry-distinct sites (fractional):
1 Al 0.000 0.000 0.000 x2
2 Al 0.247 0.500 0.500 x4
3 W 0.000 0.246 0.500 x4
- - -

Teenagers: The image of power, the reality of fear

Teenagers are often like Absalom. They present an image of arrogance and power. Yet inside they are hurting. Parents see the power but not the hurt. They may become intimidated and fearful—or angry—at the images their teenagers project. An angry teen is at odds with the God of heaven, and therefore lives with a desperate need for contentment—but he doesn’t know why. Absalom was powerful, handsome, arrogant, winsome and popular. This was the image that he projected and cultivated. However, the image he displayed was not consistent with who he really was. Inside he was hurting. He relied on subversion and raw intimidation to achieve what he wanted. He had no balm for the pain caused by the rape of […]

Are you mad at God?

“She makes me so mad, I can’t stand it!” “He thinks only of himself, he doesn’t care if he hurts me or not. It’s maddening.” Did you ever say or think words like these? Well, you are not alone. But, what do you gain by being mad, by being so angry you lose control? The answer: you don’t gain anything of value but you lose much that is valuable! Often, being mad brings such harm that the damage is difficult, if not impossible to repair. Of course, you think you have good reasons for being mad. You have been hurt and nothing will stand between you and your right to be mad. If you are miserable, then everyone else should […]

[Here the entry breaks off for crystal structures]
Version one
Entry from the Alexandria database: a crystal of LiOs2Pt relaxed with PBEsol (meta-GGA SCAN).

abc: 4.2612 4.2612 4.2612
angles: 60.00 60.00 60.00
Last column: magnetic moment on the atom in μB.
Atoms (fractional coordinates):
Os  0.7500  0.7500  0.7500  0.04
Os  0.0000  0.0000  0.0000  0.61
Pt  0.2500  0.2500  0.2500  0.24
Li  0.5000  0.5000  0.5000  0.00

Properties
**N(E_F)**: 2.33 states/eV/cell

***

Version two
Entry from the Alexandria database: a crystal of LiOs2Pt relaxed with PBEsol (meta-GGA SCAN).

abc: 2.6734 4.5625 4.7232
angles: 97.18 106.44 90.00
Atoms (fractional coordinates):
Os  0.7589  0.7445  0.5178
Os  0.2411  0.2555  0.4822
Li  0.0000  0.5000  0.0000
Pt  0.5000  0.0000  0.0000

Properties
**N(E_F)**: 2.34 states/eV/cell

***

Version three
Entry from the Alexandria database: a crystal of LiOs2Pt relaxed with PBEsol (meta-GGA SCAN).

abc: 2.6607 4.5970 4.7624
angles: 97.51 90.00 106.82
Atoms (fractional coordinates):
Os  0.2460  0.4920  0.7889
Os  0.9915  0.9831  0.9710
Pt  0.5075  0.0151  0.4616
Li  0.7549  0.5099  0.2784

Properties
**N(E_F)**: 2.68 states/eV/cell

***

Energy ordering: version two at the bottom, the next structure 0.010 eV/atom above.

***

Version one
Entry from the Alexandria database: a crystal of LiReOs2 relaxed with PBEsol (meta-GGA SCAN).

abc: 2.8986 4.3197 4.3197
angles: 90.00 90.00 90.00
Atoms (fractional coordinates):
Os  0.0000  0.0000  0.5000
Os  0.0000  0.5000  0.0000
Li  0.5000  0.0000  0.0000
Re  0.5000  0.5000  0.5000

Properties
**N(E_F)**: 2.84 states/eV/cell

***

Version two
Entry from the Alexandria database: a crystal of LiReOs2 relaxed with PBEsol (meta-GGA SCAN).

abc: 2.8458 4.3831 4.9774
angles: 116.12 106.61 90.00
Atoms (fractional coordinates):
Re  0.5000  0.0000  0.0000
Os  0.2589  0.2589  0.5178
Os  0.7411  0.7411  0.4822
Li  0.0000  0.5000  0.0000

Properties
**N(E_F)**: 2.80 states/eV/cell

***

Energy ordering: version one at the bottom, the next structure 0.006 eV/atom above.

***

Version one
Entry from the Alexandria database: a crystal of Li2OsRh relaxed with PBEsol (meta-GGA SCAN).

abc: 4.1428 4.1428 4.1428
angles: 60.00 60.00 60.00
Atoms (fractional coordinates):
Os  0.5000  0.5000  0.5000
Li  0.2500  0.2500  0.2500
Li  0.0000  0.0000  0.0000
Rh  0.7500  0.7500  0.7500

Properties
**N(E_F)**: 3.10 states/eV/cell

***

Version two
Entry from the Alexandria database: a crystal of Li2OsRh relaxed with PBEsol (meta-GGA SCAN).

abc: 2.5117 4.4015 4.4015
angles: 90.00 90.00 90.00
Last column: magnetic moment on the atom in μB.
Atoms (fractional coordinates):
Li  0.0000  0.5000  0.0000  -0.01
Li  0.0000  0.0000  0.5000  -0.01
Rh  0.5000  0.0000  0.0000  0.68
Os  0.5000  0.5000  0.5000  0.12

Properties
**N(E_F)**: 2.78 states/eV/cell

***

Version three
Entry from the Alexandria database: a crystal of Li2OsRh relaxed with PBEsol (meta-GGA SCAN).

abc: 2.5060 2.5060 8.5046
angles: 90.00 90.00 90.00
Atoms (fractional coordinates):
Os  0.5000  0.5000  0.0000

Anger, a sign of weakness

I was reminded today that human anger is a sign of weakness. Just to be clear, I understand there are times for righteous anger. We could all stand to experience more of this type of anger. But this post is not about righteous anger. It is about the anger that deceives, that makes you think your anger is justified.  So when a child, a teenager, a spouse, or a coworker crosses an arbitrary line we feel totally justified by an angry response. Our flesh screams unfair! Angry words of self-defense and accusation flow freely from our lips. This sort of language and rationalization will receive a hearty amen from the Satanic cheering section. We think we have been strong, when […]

Anger: Giving in to the enemy

Just to be clear, I understand there are times for righteous anger. We could stand to experience more of this type of anger. But this post is not about righteous anger. It is about the anger that deceives, that makes you think your anger is justified, something to feel good about.  So when a child, a teenager, a spouse, or a coworker crosses an arbitrary line we feel totally justified in letting them “have it.” We cover our sin by saying, “I know I shouldn’t be angry, but sometimes you just have to say enough is enough.” This sort of language and rationalization will receive a hearty amen from the Satanic cheering section. We think we have been strong, when […]